Unabridged budget vote: Science & Technology: Minister Naledi Pandor


Honourable Chairperson: Honourable Members and guests in the gallery: Our debate today will report on the progress we are making with our key strategic priorities, signal new directions and hopefully persuade Parliament and South Africa that Science and Technology sectors hold great promise for our development ambitions and need to be given far more attention and support than they currently receive.

We also intend to outline the competence and indeed excellence that exists in our sector and to argue that we should devote increased resource and policy support to strengthening excellence, particularly in disciplines and sectors that have the potential to make a contribution to improving our development status, expanding economic growth, and changing the quality of life of individuals and communities.

The funding of Science and Technology must be improved if we are to realize our ambitious national goal of building a knowledge based economy. One of the areas that must be addressed is increased support for post graduate study and for senior researchers plus a more stable funding model for all our research performing institutions.

The department was allocated R4.1 billion in the adjusted estimates of 2010/2011, we have spent 98% of our budget. Our biggest hurdle is vacancies due to the lack of appropriate skills. We will give this challenge more attention this year. In this financial year our allocation is R4.4 billion. We anticipate modest growth in the outer years of this MTEF to address human resource development and infrastructure renewal in our science councils.

In this financial year these are some of the allocations we intend to make:
* Over R200 million will be spent on expanding access to SANREN in order to ensure that all universities in South Africa are connected by December 2011
*62 new research chairs will be established with a total investment in Research Chairs of R914 million by 2013.
*An additional 25 post-doctoral fellowships each worth R180 000 per annum for three years will be created
* R433 million to TIA, R1.089 billion to NRF, R687 million to the CSIR, R206 million to HSRC, R93 million to the South African National Space Agency, R32 million to the Africa Institute of South Africa and R11 million to the Academy of Science of South Africa.

There are four key areas that we focused upon this past financial year. They are:
*creating a strong and responsive institutional framework to support the creation of a vibrant national system of innovation
*supporting fundamental research and development in all disciplines while also proactively responding to new opportunities that enhance our competitiveness and innovation
* developing our human resources in order to have the skills needed to work in a growing knowledge economy and utilizing these skills and RDI to contribute to economic growth and socio-economic change
* using our geographic advantage and international partnerships to build on our local strengths while maximizing African and global collaboration

The first of these four is a strong and responsive institutional framework to support a vibrant national system of innovation

The department intends to create an institutional and policy framework that advances and sustains a co-ordinated and responsive National System of Innovation. The Technology Innovation Agency is our key agency in this regard. TIA is now fully operational and has begun to add value to several investment opportunities. At present 26 investments have been identified. Eleven have a very strong likelihood of enhancing job creation and socio-economic development. Elven others have proceeded beyond proof of concept stage and 4 are ready for commercialisation. Over R400 million will be committed to this successful investment portfolio. We will strive to secure a much larger investment in TIA for 2012. We thank the board for their hard work and Dr Duma and his TIA team for the steps they have taken to enhance innovation success.

Honourable members, we have also established the interim structure of the National Intellectual Property Management Office in the department. R15 million will be allocated to NIPMO this year. We have used this interim route in order to allow the office to begin its operations with the full support of the department’s infrastructure. NIPMO works very closely with TIA as they work in areas that are complementary.

NIPMO has provided funding to support the establishment of the Eastern Cape Regional Office of Technology Transfer and the Kwazulu – Natal Regional Office. Furthermore, NIPMO supports staffing costs of offices of technology transfer at the University of Johannesburg, the Agricultural Research Council, Wits University, and the University of Cape Town. NIPMO also supports institutions in terms of a 50% rebate on costs incurred through patenting processes. In this financial year we will work closely with our rural based institutions to assess the forms of support we should provide through our regional Offices of Technology Transfer (OTT)s to strengthen their technology development and innovation potential.

We have also provided skills development training in IP management for a range of staff. Two summer schools have been held in South Africa with support from the World Intellectual Property Organisation (WIPO). Further support from WIPO, Oxford University’s Isis Innovation, and Waikatolink of New Zealand’s University of Waikato will enhance our training this year. These are all institutes that have a credible intellectual property management record and we intend to use our partnership to incrementally grow our success in this area.

Recent research reports from our universities and science councils point to robust and growing research activity in a wide range of disciplines. We are committed to ensuring we build on this wealth of intellectual activity and intend to support our institutions and researchers much more vigorously. Our allocation of R1.089 billion for 2011/12, to the National Research Foundation(NRF) is a positive investment in our researchers and our national facilities.

We also launched the South African National Space Agency (SANSA) in 2010. We congratulate the board on the appointment of Dr Malinga as CEO. R93 million has been allocated to SANSA in 2011/12. The agency has been working hard to smooth the migration of space related entities .We have also directed SANSA to assist the DST in ensuring the provision of support to Sunspace in our effort to convert it into a viable satellite manufacturing company. We remain convinced that we have the technological capability to develop a medium sized satellite industry, our plans have not received support this year but we will continue to argue for and work toward South Africa developing her own competence in satellite building. We look forward to SunSpace and SANSA producing plans for Sumbandila2 based on the prototype SumbandilaSat.

• Inserted here: records of crystals:
~~~
Record 1
Below is AlZnRh2 after structural relaxation, with properties calculated at the GGA-PBE level.

a b c (Å): 4.2675 3.0027 8.5111
angles (deg): 90.00 90.00 90.00
With the nearest neighbours (Å) after each atom.
Space group Pmma (No. 51)
Symmetry-distinct sites (fractional):
Al  0.2500  0.0000  0.1265 [2 per cell]  8 Rh 2.54-2.61
Zn  0.2500  0.0000  0.6215 [2 per cell]  8 Rh 2.61-2.67
Rh  0.2500  0.5000  0.3672 [2 per cell]  2 Al 2.54, 6 Zn 2.61-2.63
Rh  0.2500  0.5000  0.8804 [2 per cell]  6 Al 2.58-2.61, 2 Zn 2.67

Output
- uncorrected energy (eV per formula unit) = -22.9
- E_form (eV/atom) = -0.797
- DOS(E_F) (states/eV/atom) = 0.30

Record 2
Below is AlZnRh2 after structural relaxation, with properties calculated at the GGA-PBE level.

a b c (Å): 9.3341 2.8859 4.3659
angles (deg): 90.00 107.17 90.00
With the nearest neighbours (Å) after each atom.
Space group Cm (No. 8)
Symmetry-distinct sites (fractional):
Al  0.0000  0.0000  0.0000 [2 per cell]  7 Rh 2.59-2.64, 2 Al 2.89, 1 Zn 2.90
Zn  0.2637  0.5000  0.3937 [2 per cell]  7 Rh 2.56-2.64
Rh  0.0083  0.5000  0.4998 [2 per cell]  3 Zn 2.56-2.62, 4 Al 2.60-2.64, 2 Rh 2.86
Rh  0.2597  0.0000  0.8963 [2 per cell]  3 Al 2.59, 4 Zn 2.60-2.64, 4 Rh 2.86-2.89

Output
- uncorrected energy (eV per formula unit) = -22.1
- E_form (eV/atom) = -0.596
- DOS(E_F) (states/eV/atom) = 0.82

Record 3
Below is AlZnRh2 after structural relaxation, with properties calculated at the GGA-PBE level.

a b c (Å): 2.8456 4.7206 8.7426
angles (deg): 90.00 90.00 90.00
With the nearest neighbours (Å) after each atom.
Space group Cmm2 (No. 35)
Symmetry-distinct sites (fractional):
Al  0.0000  0.0000  0.0000 [2 per cell]  2 Rh 2.44, 2 Zn 2.72
Zn  0.0000  0.5000  0.7354 [2 per cell]  2 Rh 2.55, 2 Al 2.72, 6 Zn 2.76-2.85
Rh  0.0000  0.0000  0.4935 [2 per cell]  2 Zn 2.55, 8 Rh 2.74-2.85
Rh  0.0000  0.5000  0.2261 [2 per cell]  2 Al 2.44

Output
- uncorrected energy (eV per formula unit) = -20.2
- E_form (eV/atom) = -0.118
- DOS(E_F) (states/eV/atom) = 1.00


Density functional theory data (PBE) for crystalline YPaOsPt at its relaxed geometry.

Cell and atoms, written as POSCAR:
```
YPaOsPt
1.0
0.000 3.473 3.473
3.473 0.000 3.473
3.473 3.473 0.000
Y Pa Os Pt
1 1 1 1
Direct
0.000 0.000 0.000 Y
0.500 0.500 0.500 Pa
0.250 0.250 0.250 Os
0.750 0.750 0.750 Pt
```

Results
Theoretical density ... 14.0 g/cm³
Space-group type ... F-43m
Fermi-level density of states ... 5.07 states/eV/f.u.
E_form ... -0.537 eV per atom


Density functional theory data (PBE) for a geometry-optimized Sn3Pt structure.

Unit cell a=5.518 b=6.540 c=6.540 alpha=120.00 beta=90.00 gamma=90.00
Sites, in units of the cell vectors:
1 Sn 0.974 0.292 0.292
2 Sn 0.974 0.708 0.000
3 Sn 0.974 0.000 0.708
4 Sn 0.474 0.292 0.000
5 Sn 0.474 0.000 0.292
6 Sn 0.474 0.708 0.708
7 Pt 0.224 0.667 0.333
8 Pt 0.724 0.333 0.667

Calculated values
Energy of formation from the pure elements ... -0.22 eV/atom
Space group ... P6_322, No. 182
~~~

Centres of Excellence

We have also expanded the number of institutions that support researchers and our human resource development programme.

Honourable members are aware that our Centres of Excellence attract high level research and development skills, through providing substantial funding for equipment, for post graduate research opportunity, and places for focused research development and innovation. In 2010/11 we allocated R47 million to the seven centres of excellence.

~~~
Density functional theory data (GGA+U) for BaCrN2O after structural relaxation.

- E_tot (hartree per atom) = -0.1536
- spin magnetization (μB per cell) = 1.65

Unit cell a=4.706 b=4.706 c=4.585 alpha=90.00 beta=90.00 gamma=90.00
Fractional coordinates of all 5 atoms:
Cr  0.500  0.500  0.500
Ba  0.000  0.000  0.000
O  0.000  0.000  0.500
N  0.000  0.500  0.000
N  0.500  0.000  0.000

~~~~~

The following is a GGA-PBE calculation of a geometry-optimized BaSc2Os structure, from Alexandria.

Computed properties:
- Fermi-level density of states: 0.84 states/eV/atom
- Excess energy over the best structure of this formula in the dataset: 347 meV/atom
- ΔE_f: 23.06 kJ/mol of atoms
- Raw total energy: -6.215 eV per atom

abc: 10.3639 10.3639 10.3639
angles: 21.43 21.43 21.43
With the nearest neighbours (Å) after each atom.
Fractional coordinates of all 4 atoms:
Ba1 0.0000 0.0000 0.0000  2 Sc 3.72, 6 Ba 3.85
Sc1 0.1224 0.1224 0.1224  3 Os 2.60
Sc2 0.8776 0.8776 0.8776  3 Os 2.60
Os1 0.5000 0.5000 0.5000  6 Sc 2.60

***

The following is a GGA-PBE calculation of a geometry-optimized BaSc2Os structure, from Alexandria.

Computed properties:
- Fermi-level density of states: 1.42 states/eV/atom
- Excess energy over the best structure of this formula in the dataset: 682 meV/atom
- ΔE_f: 55.37 kJ/mol of atoms
- Raw total energy: -5.880 eV per atom

abc: 5.0778 5.0778 5.0778
angles: 119.76 119.76 90.41
With the nearest neighbours (Å) after each atom.
Fractional coordinates of all 4 atoms:
Sc1 0.2500 0.7500 0.5000  4 Sc 3.11, 4 Ba 3.11
Os1 0.7500 0.2500 0.5000  4 Ba 3.11, 4 Sc 3.11
Sc2 0.0000 0.0000 0.0000  4 Os 3.11, 4 Sc 3.11
Ba1 0.5000 0.5000 0.0000  4 Os 3.11, 4 Sc 3.11

***

The following is a GGA-PBE calculation of a geometry-optimized BaSc2Os structure, from Alexandria.

Computed properties:
- Fermi-level density of states: 0.94 states/eV/atom
- Excess energy over the best structure of this formula in the dataset: 487 meV/atom
- ΔE_f: 36.56 kJ/mol of atoms
- Raw total energy: -6.075 eV per atom

abc: 5.0323 5.0323 5.0323
angles: 60.00 60.00 60.00
With the nearest neighbours (Å) after each atom.
Fractional coordinates of all 4 atoms:
Os1 0.5000 0.5000 0.5000  8 Sc 3.08
Sc1 0.7500 0.7500 0.7500  4 Os 3.08, 4 Ba 3.08
Ba1 0.0000 0.0000 0.0000  8 Sc 3.08
Sc2 0.2500 0.2500 0.2500  4 Ba 3.08, 4 Os 3.08

***

Repeat the first record exactly.
The following is a GGA-PBE calculation of a geometry-optimized BaSc2Os structure, from Alexandria.

Computed properties:
- Fermi-level density of states: 0.84 states/eV/atom
- Excess energy over the best structure of this formula in the dataset: 347 meV/atom
- ΔE_f: 23.06 kJ/mol of atoms
- Raw total energy: -6.215 eV per atom

abc: 10.3639 10.3639 10.3639
angles: 21.43 21.43 21.43
With the nearest neighbours (Å) after each atom.
Fractional coordinates of all 4 atoms:
Ba1 0.0000 0.0000 0.0000  2 Sc 3.72, 6 Ba 3.85
Sc1 0.1224 0.1224 0.1224  3 Os 2.60
Sc2 0.8776 0.8776 0.8776  3 Os 2.60
Os1 0.5000 0.5000 0.5000  6 Sc 2.60

***
~~~

We established an eighth Centre of excellence in 2010 with the creation of the Applied Centre for Climate and Earth Systems Science (ACCESS). In 2011/12 we will allocate R50 million to the centres. A recent score card report of the NRF indicated that South Africa’s investment in the seven Centres has proven to be a very worthwhile intervention. The seven centres host 476 masters and doctoral candidates and have produced significant publications.

We intend to explore the creation of additional centres in this financial year in order to ensure that we do establish a sustainable platform for attracting and retaining scarce skills in South Africa. We also welcome and support efforts by scientists and universities to establish centres of research excellence. This year modest DST support will be provided to arrange of university based research centres. We will also continue to provide support to the excellent African Institute for Mathematical Studies(AIMS).

We are pleased to have in the gallery some of South Africa’s esteemed researchers. Professor Suprakas Sinha-Ray of the CSIR has been ranked 50th in a list of the top 100 chemists in the world by Thompson Reuters. The list celebrates the International Year of Chemistry and recognises excellence among chemists who publish widely and achieve high impact through their work.

We also welcome professors Quarraisha Abdool Karrim, and Salim Abdool Karrim both of the School of Medicine at the University of Kwazulu Natal. I am pleased that DST has played a part in supporting their groundbreaking CAPRISA led research into the Tenofovir microbicide gel. All members are familiar with the research which aims to support women in protecting themselves from HIV infection . Their work has attracted world wide acclaim and we are pleased that we will provide an additional R51.2 million over the next three years to support further research. The team will consist of a broad consortium of universities, the MRC and health institutes.

This is the kind of excellence we wish to expand and encourage in South Africa. DST is excited at the prospect of improved health support held out by tuberculosis focused research at the CSIR nanotechnology centre. We are also supporting a consortium of researchers in the South African Malaria Initiative and a range of other disciplines detailed in our annual report.

We are fully alert to the fact that attention should also be given to the character and condition of existing Science and technology infrastructure. This is why I established a Ministerial Committee on Science and Technology to advise us on the state of our science infrastructure and on what should be done to ensure South Africa strengthens, maintains and further develops the architecture devoted to research, development and innovation.

The phase one desk top analysis report confirms the progress made in the past few years and also signals the urgent need to attend to ageing infrastructure, inadequate human capital interventions, and the provision of more robust support to the co-ordination of a system that is fractured and incoherent, and performing below par due to these fault lines.

We need a government wide co-ordinating structure to support and direct research funding nationally. The President has supported my proposal that there should be a National Committee on Science Technology and Innovation (including relevant ministers and stakeholders), to ensure sustained political commitment and oversight of national Research and Development support. The department’s executive is drafting the proposed terms of reference and composition of the committee. We also believe serious consideration should be given to locating the budgets of Science Councils within the Science and Technology budget in order to ensure assured and improved resourcing of all our science councils . Sector departments would still have the right to direct policy but we would ensure resourcing and full attention to research, technology development and innovation.

The second key area of focus is developing the skills needed for a vibrant and productive knowledge economy

We have already begun to act on several areas that will strengthen our knowledge sectors. In 2010 over R100 million was provided via NRF for research equipment and emergency infrastructure for the national research facilities. In the next three years my Department will invest a further R1.426 billion in research equipment and infrastructure. One of our most important objectives is to ensure that by December this year all public university campuses will have broadband connectivity to SANREN. We have provided R74 million for this in addition to the R55 million awarded in 2010, Minister Nzimande has added a welcome R28 million, while the SKA project has designated a further R60million creating a sum of R217 million for broadband connectivity in higher education.

The Department has also provided expanded support for human capital development programmes. In 2010/11 an additional R100 million was allocated to improve the value of postgraduate bursaries awarded by the NRF. These funds are intended to increase the number and equity profile of postgraduate students, support emerging researchers and academics with an emphasis on black and women researchers and to retain and maximise the role of established researchers in increasing research productivity and supervising the next generation of researchers.

R42 million was allocated to provide more honours bursaries, R11 million toward more postdoctoral fellowships and R10 million to support masters and doctoral students who were close to graduation and a further R11,8 million for improving the academic qualifications of university academics.

In this financial year we will continue to expand support directed at growing the pool of active and productive researchers able to contribute to our NSI.

The Research Chairs initiative is an important part of our human capital interventions. We will establish 62 more research chairs this year to add to the current 92. The call for chairs will focus on six focus areas: technology missions, priority research areas, science and technology for poverty alleviation, engineering and applied technology and an open category focused on fundamental disciplines. We intend to have 154 research Chairs by 2014 .

We welcome the invited SARCHi chairs: Professors Phuti Ngoepe (UL); Murray Leibbrandt (UCT), Sue Harrison (UCT); Francesco Petruccione (UKZN); Rajend Mesthrie (UCT); Soraya Seedat (US)

More attention will also be given to increasing the number of technologists and technicians. We are considering a technology linked internship programme in which small and medium sized technology firms will provide internships for young people and work with our universities of technology to ensure we address this aspect of training. Furthermore increased attention will be given to skills focused innovation cabins that provide technology entrepreneurs with all the resources they require to generate new ideas and products.

The Third Focus area is providing support for fundamental research and responding to new opportunities:

Honourable members we have had a great deal of success in building African and international R and D partnerships. One example of success is BioFISA , our biotechnology partnership with the government of Finland. It is a national and regional collaboration implemented by the NEPAD agency and the Southern African Network for Biosciences . It includes 12 SADC member states with a hub at the CSIR.

Bilateral research cooperation with India, Italy, France and Switzerland was funded to the value of R43 million, and 158 students participated in these initiatives. Our access to the framework programmes of the EU has been of great benefit to our researchers. Our modest investment of around R17 million has resulted in partnership funding valued at over R250 million.

Support for the EU sector budget support programme for poverty alleviation through technology has added over R24 million to our programmes that are focused on using R&D to alter socio-economic conditions.

If we had more time we would be reporting on support for all the disciplines particularly work led by HSRC and AISA in the Humanities and Social Sciences. We would report on the initiatives you viewed today in Nanotechnology, Titanium powder development , Bioprospecting in indigenous knowledge systems and further  progress in our advanced materials strategy. You saw the wide range of work being done by hundreds of eminent scientists and technologists.

This brings me to the fourth focus area which is to make use of our geographic advantage and international partnerships to build on our local strengths while maximising African and global collaboration.

The scientists I mentioned previously are joined in their hard work by the team working on the SKA project. Work on the SKA is proceeding well. Our partner countries are fully committed to the SKA project and we are working to fulfill all the readiness report requirements  of  the global committee . I have been very encouraged by the strong support from Mozambique, Botswana, Ghana and all the other partner countries.

Astronomy has become a key area of research and development activity. I am pleased to inform the house that I have received the final report of the Astronomy Desk from Professor Helberg. I am studying the recommendations and will brief the committee on them soon. In the interim I intend to retain the Astronomy Desk and to draw on its expertise.

I hope that the debate today will outline the work we are doing in order to ensure that all the missions and sectors outlined in our policy instruments receive support and contribute to our overall performance. Geographic advantage research in areas such as paleontology and astronomy, and technology missions such as advanced manufacturing associated with our mineral wealth, the hydrogen economy, the bioeconomy, energy security and renewable sources of energy, space science and related industries, global change earth observation and climate effects, as well as human and social dynamics all continue to influence our work.

However, we have also recognised that the identification of five priority areas in our ten year plan may have implied or caused a neglect of a range of disciplines that have the potential to contribute significantly to increasing our Science competitiveness and our innovation performance.

We have agreed that, as is practice in other emerging systems, we need to set ourselves a much longer policy horizon and develop the practice of periodic policy statements on the strategic focus of the department. This will allow us to move from broad ambitious targets to much more measurable and realistic policy goals.

We hope to use this year to prepare for this approach and will also utilise the final report from the ministerial committee as the foundation for consolidating the current policy instruments into a coherent synthesis of policy and practice that sets out our focus on infrastructure for Science and Technology, Support for research and development, investment in human capital and the provision of modern infrastructure and an institutional architecture that supports research and expands innovation and business formation.

We believe these areas should be the basis of a performance oriented National System of Innovation.

Honourable members we have made advances in all the discipline and missions I referred to earlier. We have begun to build on our solid foundation of excellence and to invest in our strengths in order to significantly increase our research and innovation outputs and to use these to improve our socio economic profile .

In closing I wish to thank Deputy Minister Hanekom for his hard work and leadership. The director general, the DDGs and all ministerial and department officials, the board chairs, and CEOs of all science councils and Honourable members of the portfolio committee on Science and Technology led by Dr Ngcobo.